Your job: give back only the last part of the entries further down, starting with the line that has "0.333 0.000".

<<<
A) The following is a GGA+U calculation of a geometry-optimized Li7Co5O12 structure, from Materials Project. Values from VASP.

The structure in Quantum ESPRESSO input format:
```
&SYSTEM
  ibrav = 0, nat = 24, ntyp = 3
/
ATOMIC_SPECIES
O 16.00 O.upf
Li 6.94 Li.upf
Co 58.93 Co.upf
ATOMIC_POSITIONS crystal
O 0.660 0.892 0.972
O 0.731 0.109 0.339
O 0.786 0.381 0.674
O 0.542 0.619 0.671
O 0.936 0.891 0.328
O 0.202 0.619 0.333
O 0.363 0.109 0.973
O 0.464 0.381 0.333
O 0.880 0.619 0.993
O 0.125 0.381 0.995
O 0.304 0.891 0.694
O 0.006 0.108 0.695
Li 0.084 0.246 0.335
Li 0.333 0.000 0.333
Li 0.413 0.245 0.665
Li 0.254 0.755 0.002
Li 0.583 0.754 0.331
Li 0.747 0.244 0.001
Li 0.920 0.756 0.666
Co 0.003 0.000 0.003
Co 0.664 0.000 0.664
Co 0.165 0.500 0.670
Co 0.833 0.500 0.333
Co 0.502 0.500 0.996
CELL_PARAMETERS angstrom
-1.775 -1.093 4.556
-2.981 -7.940 -4.923
2.816 -2.548 3.217
```

Computed properties:
Calculated volume (Å³/cell): 209

B) The following is a GGA+U calculation of a geometry-optimized Li7Co5O12 structure, from Materials Project. Values from VASP.

The structure in Quantum ESPRESSO input format:
```
&SYSTEM
  ibrav = 0, nat = 24, ntyp = 3
/
ATOMIC_SPECIES
Co 58.93 Co.upf
O 16.00 O.upf
Li 6.94 Li.upf
ATOMIC_POSITIONS crystal
Co 0.000 0.000 0.500
Co 0.007 0.661 0.838
Co 0.993 0.339 0.162
Co 0.500 0.174 0.323
Co 0.500 0.826 0.677
O 0.654 0.519 0.208
O 0.632 0.194 0.533
O 0.121 0.008 0.718
O 0.103 0.683 0.034
O 0.645 0.864 0.863
O 0.897 0.317 0.966
O 0.881 0.633 0.639
O 0.368 0.806 0.467
O 0.879 0.992 0.282
O 0.346 0.481 0.792
O 0.355 0.136 0.137
O 0.119 0.367 0.361
Li 0.753 0.249 0.753
Li 0.256 0.089 0.919
Li 0.500 0.500 0.000
Li 0.251 0.419 0.584
Li 0.749 0.581 0.416
Li 0.247 0.751 0.247
Li 0.744 0.911 0.081
CELL_PARAMETERS angstrom
5.028 0.000 0.000
0.896 5.034 0.000
0.724 2.401 8.301
```

Computed properties:
Calculated volume (Å³/cell): 210

Relative energy of each structure, in eV/atom: A) 0.045; B) 0.000.

A) The following is a GGA+U calculation of a geometry-optimized LiCoPO4 structure, from Materials Project. Values from VASP.

The structure in Quantum ESPRESSO input format:
```
&SYSTEM
  ibrav = 0, nat = 56, ntyp = 4
/
ATOMIC_SPECIES
P 30.97 P.upf
O 16.00 O.upf
Co 58.93 Co.upf
Li 6.94 Li.upf
ATOMIC_POSITIONS crystal
P 0.750 0.799 0.819
P 0.729 0.235 0.429
P 0.729 0.735 0.071
P 0.229 0.265 0.929
P 0.250 0.701 0.319
P 0.250 0.201 0.181
P 0.229 0.765 0.571
P 0.750 0.299 0.681
O 0.619 0.450 0.641
O 0.170 0.107 0.969
O 0.111 0.213 0.255
O 0.677 0.140 0.639
O 0.036 0.710 0.079
O 0.544 0.172 0.189
O 0.119 0.050 0.141
O 0.611 0.787 0.745
O 0.103 0.767 0.647
O 0.177 0.860 0.361
O 0.044 0.328 0.689
O 0.611 0.287 0.755
O 0.536 0.790 0.579
O 0.536 0.290 0.921
O 0.177 0.360 0.139
O 0.670 0.893 0.031
O 0.103 0.267 0.853
O 0.677 0.640 0.861
O 0.111 0.713 0.245
O 0.612 0.079 0.469
O 0.603 0.733 0.147
O 0.619 0.950 0.859
O 0.544 0.672 0.311
O 0.670 0.393 0.469
O 0.119 0.550 0.359
O 0.044 0.828 0.811
O 0.036 0.210 0.421
O 0.603 0.233 0.353
O 0.112 0.921 0.531
O 0.170 0.607 0.531
O 0.112 0.421 0.969
O 0.612 0.579 0.031
Co 0.742 0.671 0.661
Co 0.252 0.501 0.063
Co 0.752 0.999 0.563
Co 0.742 0.171 0.839
Co 0.252 0.001 0.437
Co 0.242 0.329 0.339
Co 0.242 0.829 0.161
Co 0.752 0.499 0.937
Li 0.937 0.066 0.050
Li 0.259 0.362 0.766
Li 0.259 0.862 0.734
Li 0.759 0.138 0.266
Li 0.437 0.934 0.950
Li 0.437 0.434 0.550
Li 0.937 0.566 0.450
Li 0.759 0.638 0.234
CELL_PARAMETERS angstrom
-0.089 -4.987 0.889
5.843 -1.077 -5.460
12.956 2.165 13.438
```

Computed properties:
Calculated volume (Å³/cell): 768

B) The following is a GGA+U calculation of a geometry-optimized LiCoPO4 structure, from Materials Project. Values from VASP.

The structure in Quantum ESPRESSO input format:
```
&SYSTEM
  ibrav = 0, nat = 14, ntyp = 4
/
ATOMIC_SPECIES
Co 58.93 Co.upf
P 30.97 P.upf
O 16.00 O.upf
Li 6.94 Li.upf
ATOMIC_POSITIONS crystal
Co 0.630 0.333 0.818
Co 0.297 0.667 0.318
P 0.640 0.348 0.194
P 0.292 0.652 0.694
O 0.305 0.434 0.809
O 0.967 0.595 0.683
>>>

Li 0.333 0.000 0.333
Li 0.413 0.245 0.665
Li 0.254 0.755 0.002
Li 0.583 0.754 0.331
Li 0.747 0.244 0.001
Li 0.920 0.756 0.666
Co 0.003 0.000 0.003
Co 0.664 0.000 0.664
Co 0.165 0.500 0.670
Co 0.833 0.500 0.333
Co 0.502 0.500 0.996
CELL_PARAMETERS angstrom
-1.775 -1.093 4.556
-2.981 -7.940 -4.923
2.816 -2.548 3.217
```

Computed properties:
Calculated volume (Å³/cell): 209

B) The following is a GGA+U calculation of a geometry-optimized Li7Co5O12 structure, from Materials Project. Values from VASP.

The structure in Quantum ESPRESSO input format:
```
&SYSTEM
  ibrav = 0, nat = 24, ntyp = 3
/
ATOMIC_SPECIES
Co 58.93 Co.upf
O 16.00 O.upf
Li 6.94 Li.upf
ATOMIC_POSITIONS crystal
Co 0.000 0.000 0.500
Co 0.007 0.661 0.838
Co 0.993 0.339 0.162
Co 0.500 0.174 0.323
Co 0.500 0.826 0.677
O 0.654 0.519 0.208
O 0.632 0.194 0.533
O 0.121 0.008 0.718
O 0.103 0.683 0.034
O 0.645 0.864 0.863
O 0.897 0.317 0.966
O 0.881 0.633 0.639
O 0.368 0.806 0.467
O 0.879 0.992 0.282
O 0.346 0.481 0.792
O 0.355 0.136 0.137
O 0.119 0.367 0.361
Li 0.753 0.249 0.753
Li 0.256 0.089 0.919
Li 0.500 0.500 0.000
Li 0.251 0.419 0.584
Li 0.749 0.581 0.416
Li 0.247 0.751 0.247
Li 0.744 0.911 0.081
CELL_PARAMETERS angstrom
5.028 0.000 0.000
0.896 5.034 0.000
0.724 2.401 8.301
```

Computed properties:
Calculated volume (Å³/cell): 210

Relative energy of each structure, in eV/atom: A) 0.045; B) 0.000.

A) The following is a GGA+U calculation of a geometry-optimized LiCoPO4 structure, from Materials Project. Values from VASP.

The structure in Quantum ESPRESSO input format:
```
&SYSTEM
  ibrav = 0, nat = 56, ntyp = 4
/
ATOMIC_SPECIES
P 30.97 P.upf
O 16.00 O.upf
Co 58.93 Co.upf
Li 6.94 Li.upf
ATOMIC_POSITIONS crystal
P 0.750 0.799 0.819
P 0.729 0.235 0.429
P 0.729 0.735 0.071
P 0.229 0.265 0.929
P 0.250 0.701 0.319
P 0.250 0.201 0.181
P 0.229 0.765 0.571
P 0.750 0.299 0.681
O 0.619 0.450 0.641
O 0.170 0.107 0.969
O 0.111 0.213 0.255
O 0.677 0.140 0.639
O 0.036 0.710 0.079
O 0.544 0.172 0.189
O 0.119 0.050 0.141
O 0.611 0.787 0.745
O 0.103 0.767 0.647
O 0.177 0.860 0.361
O 0.044 0.328 0.689
O 0.611 0.287 0.755
O 0.536 0.790 0.579
O 0.536 0.290 0.921
O 0.177 0.360 0.139
O 0.670 0.893 0.031
O 0.103 0.267 0.853
O 0.677 0.640 0.861
O 0.111 0.713 0.245
O 0.612 0.079 0.469
O 0.603 0.733 0.147
O 0.619 0.950 0.859
O 0.544 0.672 0.311
O 0.670 0.393 0.469
O 0.119 0.550 0.359
O 0.044 0.828 0.811
O 0.036 0.210 0.421
O 0.603 0.233 0.353
O 0.112 0.921 0.531
O 0.170 0.607 0.531
O 0.112 0.421 0.969
O 0.612 0.579 0.031
Co 0.742 0.671 0.661
Co 0.252 0.501 0.063
Co 0.752 0.999 0.563
Co 0.742 0.171 0.839
Co 0.252 0.001 0.437
Co 0.242 0.329 0.339
Co 0.242 0.829 0.161
Co 0.752 0.499 0.937
Li 0.937 0.066 0.050
Li 0.259 0.362 0.766
Li 0.259 0.862 0.734
Li 0.759 0.138 0.266
Li 0.437 0.934 0.950
Li 0.437 0.434 0.550
Li 0.937 0.566 0.450
Li 0.759 0.638 0.234
CELL_PARAMETERS angstrom
-0.089 -4.987 0.889
5.843 -1.077 -5.460
12.956 2.165 13.438
```

Computed properties:
Calculated volume (Å³/cell): 768

B) The following is a GGA+U calculation of a geometry-optimized LiCoPO4 structure, from Materials Project. Values from VASP.

The structure in Quantum ESPRESSO input format:
```
&SYSTEM
  ibrav = 0, nat = 14, ntyp = 4
/
ATOMIC_SPECIES
Co 58.93 Co.upf
P 30.97 P.upf
O 16.00 O.upf
Li 6.94 Li.upf
ATOMIC_POSITIONS crystal
Co 0.630 0.333 0.818
Co 0.297 0.667 0.318
P 0.640 0.348 0.194
P 0.292 0.652 0.694
O 0.305 0.434 0.809
O 0.967 0.595 0.683